The Promise Fulfilled: Reflections on the Epiphany of the Lord

********
Below is a relaxed structure of K3Fe22O34, with properties calculated at the PBE with a Hubbard U level.

Geometry as POSCAR:
```
K3Fe22O34
1.0
5.803 0.000 0.000
2.898 5.028 0.000
0.014 0.020 23.513
K Fe O
3 22 34
Direct
0.000 0.000 0.000
0.279 0.438 0.501
0.597 0.838 0.500
0.009 0.020 0.421
0.009 0.021 0.580
0.015 0.014 0.725
0.015 0.015 0.276
0.017 0.513 0.355
0.017 0.513 0.647
0.344 0.848 0.147
0.344 0.848 0.854
0.345 0.347 0.923
0.347 0.346 0.078
0.347 0.347 0.225
0.348 0.346 0.776
0.512 0.018 0.355
0.512 0.018 0.646
0.512 0.512 0.355
0.512 0.512 0.646
0.680 0.682 0.251
0.681 0.680 0.750
0.848 0.344 0.147
0.848 0.345 0.854
0.848 0.848 0.147
0.848 0.848 0.854
0.013 0.014 0.194
0.013 0.014 0.808
0.034 0.981 0.500
0.167 0.168 0.897
0.168 0.168 0.104
0.168 0.702 0.104
0.168 0.703 0.897
0.189 0.663 0.604
0.190 0.661 0.397
0.195 0.196 0.400
0.195 0.197 0.601
0.347 0.347 0.308
0.347 0.347 0.693
0.351 0.352 0.000
0.368 0.837 0.308
0.368 0.837 0.693
0.523 0.994 0.194
0.524 0.524 0.807
0.524 0.525 0.194
0.524 0.993 0.807
0.648 0.196 0.400
0.648 0.197 0.601
0.680 0.680 0.108
0.680 0.680 0.893
0.681 0.679 0.395
0.681 0.680 0.606
0.703 0.168 0.104
0.703 0.168 0.897
0.836 0.838 0.693
0.837 0.365 0.693
0.837 0.366 0.308
0.837 0.838 0.308
0.993 0.524 0.194
0.993 0.524 0.807
```

Calculated values
- Energy relative to the elements: -1.516 eV per atom
- Space-group type: P1 (1)
- Crystal system: triclinic
- Total moment: 107.505 μB per formula unit
- E above lowest polymorph: 0.1315 eV/atom

---

Below is a relaxed structure of K3Fe4O8, with properties calculated at the PBE with a Hubbard U level.

Geometry as POSCAR:
```
K3Fe4O8
1.0
6.216 0.000 0.000
0.000 6.216 0.000
0.000 0.000 7.976
K Fe O
3 4 8
Direct
0.000 0.000 0.000
0.000 0.500 0.293
0.500 0.000 0.707
0.000 0.000 0.500
0.000 0.500 0.757
0.500 0.000 0.243
0.500 0.500 0.000
0.000 0.243 0.638
0.000 0.757 0.638
0.233 0.500 0.904
0.243 0.000 0.362
0.500 0.233 0.096
0.500 0.767 0.096
0.757 0.000 0.362
0.767 0.500 0.904
```

Calculated values
- Energy relative to the elements: -1.562 eV per atom
- Space-group type: P-4m2 (115)
- Crystal system: tetragonal
- Total moment: 19.000 μB per formula unit

---

Below is a relaxed structure of KFeO3, with properties calculated at the PBE with a Hubbard U level.

Geometry as POSCAR:
```
KFeO3
1.0
5.090 0.000 0.000
0.000 5.611 0.000
0.000 0.000 13.329
K Fe O
4 4 12
Direct
0.238 0.250 0.091
0.262 0.750 0.591
0.738 0.250 0.409
0.762 0.750 0.909
0.186 0.750 0.329
0.314 0.250 0.829
0.686 0.750 0.171
0.814 0.250 0.671
0.156 0.250 0.705
0.248 0.505 0.397
0.248 0.995 0.397
0.252 0.005 0.897
0.252 0.495 0.897
0.344 0.750 0.205
0.656 0.250 0.795
0.748 0.505 0.103
0.748 0.995 0.103
0.752 0.005 0.603
0.752 0.495 0.603
0.844 0.750 0.295
```

Calculated values
- Energy relative to the elements: -1.274 eV per atom
- Space-group type: Pnma (62)
- Crystal system: orthorhombic
- Total moment: 3.000 μB per formula unit

---
********
**The text goes on**

Lectionary Reflections
Isaiah 60:1-6
January 6, 2016
The Epiphany of the Lord

It is Epiphany again, and what is Epiphany without Isaiah 60:1? "Arise, shine, for your light has come; the glory of YHWH has dawned upon you!" And, of course, no Christian can miss the gifts mentioned in Isaiah 60:6, gifts brought on the backs of a vast flock of camels, young and old camels from the southern deserts of Ephah and Midian and Sheba. Those gifts are the famous "gold and frankincense," two of the three offerings of the Wise Ones from the East who came to worship the child of Bethlehem in Matthew's gospel. These are the same Wise Ones who have probably graced the Christmas pageants that scrambled the Gospel's story into a mixed stew of shepherds and stars and lambs and kings and camels, quite obliterating the uniqueness of the tales told by Matthew and Luke and even John in his own odd ways. What's a pastor to do if she attempts to tell the story from Luke or the story from Matthew, leaving out Wise Ones from the former and shepherds from the latter? Preachers have been fired from their pulpits for much less, I dare say!

But Epiphany is rather more than the chance finally to sing "We Three Kings of Orient Are," and is certainly more than teaching some churchly rascals that the next line is not "tried to smoke a rubber cigar." It appears that what Isaiah is about harks back to a famous scene from the book of Deuteronomy 33, where the aged Moses blesses the twelve tribes of Israel before their entry into the land of promise and just before his own mysterious death. We modern Christians can learn something significant from the connections between these two passages.

• Someone pasted crystal structures at this point:
/*
! Ba4Fe2MoWO12 (PBE with a Hubbard U, optimized geometry); values from VASP
&SYSTEM
  ibrav = 0, nat = 20, ntyp = 5
/
ATOMIC_SPECIES
Ba 137.33 Ba.upf
O 16.00 O.upf
Fe 55.84 Fe.upf
W 183.84 W.upf
Mo 95.94 Mo.upf
ATOMIC_POSITIONS angstrom
Ba 24.5071 0.0000 4.3393
Ba 10.5666 0.0000 1.8709
Ba 3.5469 0.0000 0.6280
Ba 17.4873 0.0000 3.0963
O 19.6635 -1.5088 4.3663
O 20.1192 0.0000 1.7930
O 15.3648 -1.4713 1.8578
O 14.9205 0.0000 4.3672
O 12.6891 1.4713 3.1095
O 7.9348 0.0000 3.1743
O 15.3648 1.4713 1.8578
O 8.3904 -1.5088 0.6010
O 19.6635 1.5088 4.3663
O 8.3904 1.5088 0.6010
O 13.1334 0.0000 0.6001
O 12.6891 -1.4713 3.1095
Fe 6.9137 0.0000 1.2242
Fe 21.1402 0.0000 3.7431
W 0.0000 0.0000 0.0000
Mo 14.0270 0.0000 2.4836
CELL_PARAMETERS angstrom
9.6445 -2.9125 0.0000
9.6445 2.9125 0.0000
8.7650 0.0000 4.9673
! **Symmetry**: R-3m
! **Calculated formation energy**: -2.304 eV/atom

=====

! BaNaNdFeO6 (PBE with a Hubbard U, optimized geometry); values from VASP
&SYSTEM
  ibrav = 0, nat = 10, ntyp = 5
/
ATOMIC_SPECIES
O 16.00 O.upf
Nd 144.24 Nd.upf
Fe 55.84 Fe.upf
Na 22.99 Na.upf
Ba 137.33 Ba.upf
ATOMIC_POSITIONS angstrom
O 6.3669 2.6134 -5.4539
O 4.3233 5.1480 -5.6498
O 3.1887 2.1962 -4.8507
O 5.3476 2.0267 -2.4117
O 3.3041 4.5613 -2.6075
O 6.4822 4.9785 -3.2108
Nd 4.8355 3.5874 -4.0307
Fe 0.0000 0.0000 0.0000
Na 2.4177 1.7937 -2.0154
Ba 7.2532 5.3810 -6.0461
CELL_PARAMETERS angstrom
5.7644 0.7567 -1.0941
1.8487 1.0642 -5.5180
2.0578 5.3538 -1.4493
! **Symmetry**: F-43m
! **Calculated formation energy**: -2.177 eV/atom

=====

! Ba2NbFeO6 (PBE with a Hubbard U, optimized geometry); values from VASP
&SYSTEM
  ibrav = 0, nat = 40, ntyp = 4
/
ATOMIC_SPECIES
O 16.00 O.upf
Fe 55.84 Fe.upf
Nb 92.91 Nb.upf
Ba 137.33 Ba.upf
ATOMIC_POSITIONS angstrom
O 1.4948 0.8630 16.9229
O 1.4632 -2.5343 0.0000
O 1.3501 0.7795 4.8097
O 2.9263 0.0000 9.6195
O 1.4948 -0.8630 2.3160
O 2.9263 0.0000 0.0000
O 4.3579 0.8630 16.9229
O 1.3501 -0.7795 14.4292
O 4.5026 0.7795 4.8097
O 1.4948 0.8630 11.9355
O 4.3579 -0.8630 7.3035
O 4.3579 -0.8630 2.3160
O 1.4632 -2.5343 9.6195
O 2.9263 -3.3426 2.3160
O 1.4632 2.5343 0.0000
O 2.9263 3.5096 4.8097
O 2.9263 -3.5096 14.4292
O 4.5026 -0.7795 14.4292
O 2.9263 3.3426 16.9229
O 1.4948 -0.8630 7.3035
O 2.9263 3.3426 11.9355
O 2.9263 -3.3426 7.3035
O 4.3579 0.8630 11.9355
O 1.4632 2.5343 9.6195
Fe 0.0000 0.0000 15.7294
Fe 0.0000 0.0000 6.1100
Fe 0.0000 0.0000 3.5095
Fe 0.0000 0.0000 13.1289
Nb 2.9263 1.6895 10.8446
Nb 2.9263 -1.6895 8.3943
Nb 2.9263 -1.6895 1.2252
Nb 2.9263 1.6895 18.0137
Ba 2.9263 -1.6895 16.5116
Ba 2.9263 1.6895 2.7273
Ba 2.9263 1.6895 14.4292
Ba 2.9263 1.6895 6.8921
Ba 0.0000 0.0000 9.6195
Ba 2.9263 -1.6895 4.8097
Ba 0.0000 0.0000 0.0000
Ba 2.9263 -1.6895 12.3468
CELL_PARAMETERS angstrom
2.9263 -5.0686 0.0000
2.9263 5.0686 0.0000
0.0000 0.0000 19.2389
! **Symmetry**: P6_3/mmc
! **Calculated formation energy**: -2.873 eV/atom

=====

! BaNb4Fe2O14 (PBE with a Hubbard U, optimized geometry); values from VASP
&SYSTEM
*/

In Deuteronomy 32:48-52, YHWH informs Moses, God's most faithful and intimate servant, that he will not be allowed to enter the land of promise because both he and Aaron "broke faith with me among the Israelites at the waters of Meribath-kadesh in the wilderness of Zin, by failing to maintain my holiness among the Israelites" (Dt. 33:51). Exactly what this indictment refers to is not altogether clear. After all, at Meribah (Ex. 17), Moses did YHWH's bidding in the face of the people's grumbling by giving to them the magic water from the rock. I suppose it could be said that Moses' fearful cry to YHWH that he is about to be murdered by the people since they claim to be dying of thirst, and his implicit demand that YHWH save him from their wrath, could be construed as a failure to "maintain YHWH's holiness among the people." Whatever the precise reason, YHWH has determined that the great Moses will not enter the land of promise; that tradition has held firm throughout the history of the story.

In Deuteronomy's telling of the Moses story, the prophet and leader brings the people right to the edge of the Jordan River and there offers to them several sermons recounting their responsibilities in their new land. And in the lengthy poem of chapter 33, he begins at the very beginning of YHWH's connection to this people. "YHWH came from Sinai, and dawned from Seir upon us; God shone forth from Mount Paran" (Dt. 33:2). No use hunting up these places on any tourist map of that time or this; Sinai, Seir, and Paran are the holy places of the mysterious YHWH, and are not be confined to any particular physical locations. Note that when YHWH first appeared to this special people, YHWH "dawned" and "shone forth." These two verbs figure prominently in the event of YHWH's coming as described in Isaiah 60. Out of the "thick darkness" that covers the people," YHWH "arises" and "YHWH's glory appears." Hence, it is YHWH's epiphany to the chosen people that is celebrated, YHWH's manifestation, YHWH's coming. Little wonder that the early Christians heard in these two accounts echoes, prefigurings, of the appearance of the child whom they called Christ, Messiah, manifested in the light of a miraculous star, bathed in divine light, at the dawning of a new age.

In Deuteronomy, the tribes who will constitute the new people of YHWH are celebrated in turn for faithfulness and greatness. Also in Isaiah 60 the scattered tribes of Israel, who have been dispersed into many foreign lands by the serial destructions of Assyrians and Babylonians, shall at last be gathered again to the sacred land, "your sons gathered from afar and your daughters carried on their nurses' arms" (Is. 60:4). And these exiles shall not come empty-handed. "The abundance of the sea" and "the wealth of the nations shall come to you," burdening the backs of those many southern camels. In short, the great promise of YHWH, who first appeared to Israel on Sinai, the promise of a land of plenty and safety and hope for all people will now be fulfilled.

And so it is for us Christians on this day we call Epiphany. We surely have experienced much deep darkness in 2015. From the attacks of terrorists to the horrors of deadly and devastating weather, many of us have experienced darkness. Too many of us have responded to these events with cries of fear, telling us to label the terrorists, round them up, and carpet bomb them to oblivion. Too many of us have refused to admit that tornadoes in December are not the normal patterns of our weather and that our industrially polluted change of the climate is real and accelerating. Terrorist assaults and springtime tornadoes in December cannot become for us the new normal. Still, we must not succumb to the blandishments of those who shout only "be afraid" or "get even" or "build stronger structures." The light of God comes for all of us again this Epiphany. The light of God pierces our gloomy and dark lives and offers to us a hope that we must both grasp and exemplify.

The promise of God has once again been fulfilled! Darkness must not be met by further darkness, but only by light, by the dawning of hope, by the appearance of the glory of God. May we offer our gold to those who would work to change our patterns of living, patterns that lead to increased atmospheric temperatures. May our incense be a symbol of honoring the God who comes to us again and again in glory. And may this Epiphany be not only a celebration of the appearance of God in our midst, but also the beginning of a new way of life for those of us who call ourselves the people of God.

12/2/2022 9:10:38 PM
  • Sacred Texts
  • Preachers
  • Progressive Christian
  • Opening The Old Testament
  • Epiphany
  • Progressive Christianity
  • Christianity
  • Protestantism
  • John Holbert
    About John Holbert
    John C. Holbert is the Lois Craddock Perkins Professor Emeritus of Homiletics at Perkins School of Theology in Dallas, TX.